There are two hours in my day that I dread EVERY GOD GIVEN DAY (well, five days I week I suppose). The hour in which the kids get up and I have to get them up, dressed, and out the door by 7:30 and the hour that we come home after I pick them up from daycare, and they are tired, cranky and hungry, and Bob and I are tired, cranky, and hungry. Evenings don’t seem to be as bad as the mornings. Once we get some food in them at night the kids mellow out and play. And 2 on 2 is much easier then 2 on 1.
It seems as though, the combination of trying to get somewhere or do something fast, leave the house in not too much of a disarray and making sure the girls and myself are properly dressed, teeth brushed, hair combed, dogs fed, etc can cause me to have a panic attack anytime I think about it. Often times as I take the elevator up to work, I find myself letting out a deep breath, feeling like I have already put a full day in.
### Misplaced quantum chemistry results
- - -
Record 1
This record from the Open Molecules 2025 dataset describes an isolated molecule of C4H7N3O at a distorted geometry. The level of theory is ωB97M-V/def2-TZVPD.

Output
LUMO energy = -0.7 eV
relative energy (zero: lowest compared OMol25 entry of this formula, charge and spin) = 676.09 kJ/mol
E_tot = -395.89090 hartree
spin multiplicity = 1
orbital gap = 7.4 eV
SMILES = C/N=N/C1=CNOC1

Geometry as XYZ:
```
15
Properties=species:S:1:pos:R:3:forces:R:3
C -1.22769 -1.75743 -2.04000 1.6126 0.2237 -3.1852
N -0.01126 -1.10987 -1.28803 -7.0118 1.2701 3.5326
N -0.78327 -0.64429 -0.18122 5.8130 -0.0147 -4.2507
C 0.04568 0.33411 0.45738 -1.7622 -2.6614 0.5804
C 0.98160 1.08423 -0.02726 1.9918 3.3760 0.4857
N 1.54621 1.98376 0.99984 -2.0804 -0.6759 -3.7442
O 1.05035 1.54314 2.21073 -1.3622 -1.3887 0.6834
C 0.01836 0.51453 1.89898 -2.0671 0.9344 4.1465
H -1.79633 -1.00699 -2.76377 1.2288 -0.9895 1.9820
H -0.91585 -2.55123 -2.83813 -0.2163 1.0174 1.9328
H -1.84176 -2.10110 -1.23137 -0.6751 -0.4778 -0.2819
H 1.20477 1.29552 -1.04613 0.3494 -0.0689 -0.4980
H 2.53498 1.98341 0.92536 1.2004 -0.2671 0.7077
H 0.31537 -0.34699 2.51276 -0.0913 -0.1623 -0.4572
H -1.12117 0.77919 2.41085 3.0703 -0.1151 -1.6339
```
Forces are in eV/Å.

***

Record 2
This record from the Open Molecules 2025 dataset describes an isolated molecule of C4H7N3O at a distorted geometry. The level of theory is ωB97M-V/def2-TZVPD.

Output
LUMO energy = 0.9 eV
relative energy (zero: lowest compared OMol25 entry of this formula, charge and spin) = 285.60 kJ/mol
E_tot = -396.03963 hartree
spin multiplicity = 1
orbital gap = 10.2 eV
SMILES = C=CN(N=C)C(N)=O

Geometry as XYZ:
```
15
Properties=species:S:1:pos:R:3:forces:R:3
C 0.55339 -0.31739 2.23282 -0.7456 -0.3729 3.3892
C 0.57808 -0.67095 0.96498 -0.3916 -0.3916 -0.6174
N -0.10098 0.08870 -0.07957 1.3229 -1.6986 1.3405
N 0.53976 0.30250 -1.27374 0.7941 -0.1869 0.3823
C 1.80475 0.09638 -1.41085 -1.0551 1.8954 -0.4021
C -1.51135 0.16478 -0.11964 -1.6241 -0.3061 3.8536
N -1.90262 0.83293 -1.18877 -6.2424 -1.2315 -1.2542
O -2.34525 -0.15301 0.78723 3.3729 0.1833 -2.3661
H 0.79736 -1.06503 3.14127 -0.0408 1.7081 -2.5768
H 0.07272 0.62581 2.62947 0.5638 -1.1075 -0.9082
H 1.04315 -1.63687 0.67164 -0.4757 0.7644 -0.1096
H 2.51566 -0.16338 -0.62656 -0.2365 -0.2004 -0.0484
H 2.14023 0.62243 -2.32928 0.2464 -1.1620 0.4614
H -1.28938 0.87930 -1.92681 1.6427 0.1804 -1.9297
H -2.89553 0.39380 -1.47220 2.8692 1.9259 0.7854
```
Forces are in eV/Å.

***

Record 3
This record from the Open Molecules 2025 dataset describes an isolated molecule of C4H7N3O at a distorted geometry. The level of theory is ωB97M-V/def2-TZVPD.

Output
LUMO energy = 0.6 eV
relative energy (zero: lowest compared OMol25 entry of this formula, charge and spin) = 926.50 kJ/mol
E_tot = -395.79553 hartree
spin multiplicity = 1
orbital gap = 9.2 eV
SMILES = N[C@@]12C[C@H]1NNC2=O

Geometry as XYZ:
```
15
Properties=species:S:1:pos:R:3:forces:R:3
- - -
When Anna first wakes up, she is a complete delight. Cuddly and happy. And perfectly content to snuggle in bed watching Disney Junior. But as soon as it is time to get dressed, all hell breaks loose.
A recent morning went like this –
Anna - “It doesn’t spin mom, MY SKIRT DOESN’T SPIN!”
Me - “Yes it does Anna, I promise you, YOUR SKIRT SPINS!”
Anna – “NO it doesn’t! I want to wear my pajamas to school”
Me – “You can’t wear your pajamas today, it isn’t a jammie day”
(I have considered just sending her in her pajamas on non-jammie days, but I know if I did this I would never get her in actual clothes again)
Me – ““We have no more clean dresses, mommy has to do laundry… no you can’t wear the size 24 month flower girl dress from Liz’s wedding today because it spins…. Why? It doesn’t fit you.”
Me - “Ok, that’s fine, wear whatever you want. Never mind that it is -12 with a -40 windchill, wear the summer dress, I really don’t care”
Anna – “I want to wear my reindeer ear muffs”
(at this point I think to myself, seriously? Do you remember the fit you threw when I tried to get you to wear them at x-mas, but I know enough to know that won’t make us get out the door any earlier so I don’t say anything)
Me - “That’s fine Anna, you can wear your earmuffs, but if you aren’t ready in 5 minutes, Evie and I are leaving and you will have to stay here by yourself all day with the dogs”
(cue the dog’s ears perk up, and give me a look that says, “Really? You are going to leave her here with us?”)
I then catch Anna out of the corner of my eye twirling in a circles as she exclaims, “Look Mommy, my skirt spins!!!!!”
Somehow, however, every morning we make it out alive and live to talk about it. And by the time I sign into my computer at work, I have forgotten about how stressful it was, until the next morning comes. I do know it will get easier someday down the road. Hopefully. Maybe the promise of some warmer weather would help. Maybe come June.